Job >
What is needed: duplicate the whole of the data further below word for word.
Material >
┌──
# 1
The molecule C6H12O in a non-equilibrium geometry, computed with ωB97M-V/def2-TZVPD.

## Properties
- Orbital gap: 10.18 eV
- Highest occupied orbital energy: -9.080 eV
- Calculated total energy: -8461.88021 eV
- SMILES: CC(C)[C@H]1O[C@H]1C

Last column: natural (NBO) charge in e.
Cartesian coordinates (Å):
C  2.27  0.40  0.50  -0.599
C  0.86  -0.20  0.28  -0.244
C  0.46  -0.98  1.53  -0.606
C  -0.15  0.89  -0.17  0.014
O  -0.10  1.16  -1.56  -0.486
C  -1.38  0.82  -1.07  0.083
C  -2.15  -0.41  -1.35  -0.642
H  3.01  -0.40  0.69  0.208
H  2.63  0.97  -0.36  0.219
H  2.28  1.06  1.37  0.203
H  0.94  -0.91  -0.56  0.209
H  0.37  -0.33  2.41  0.204
H  1.23  -1.73  1.76  0.212
H  -0.48  -1.52  1.40  0.208
H  -0.71  1.57  0.46  0.199
H  -2.00  1.74  -1.13  0.167
H  -1.59  -1.29  -1.03  0.213
H  -2.41  -0.47  -2.41  0.217
H  -3.09  -0.38  -0.77  0.220

# 2
The molecule C6H12O, computed with ωB97M-V/def2-TZVPD.

## Properties
- Orbital gap: 10.78 eV
- Highest occupied orbital energy: -9.848 eV
- Calculated total energy: -8463.17810 eV
- SMILES: C=C[C@@](C)(O)CC

Last column: natural (NBO) charge in e.
Cartesian coordinates (Å):
C  -1.85  0.50  -1.15  -0.613
C  -0.92  0.69  0.05  -0.413
C  0.22  -0.33  -0.03  0.207
C  1.14  0.03  -1.23  -0.636
C  1.03  0.12  2.33  -0.393
C  1.11  -0.50  1.17  -0.185
O  -0.50  -1.59  -0.05  -0.737
H  -2.06  -0.57  -1.25  0.232
H  -1.38  0.84  -2.08  0.198
H  -2.79  1.04  -1.03  0.209
H  -1.47  0.50  0.98  0.212
H  -0.57  1.73  0.10  0.205
H  0.67  -0.15  -2.20  0.221
H  1.39  1.10  -1.20  0.220
H  2.10  -0.50  -1.21  0.209
H  0.30  0.91  2.49  0.199
H  1.70  -0.14  3.13  0.203
H  1.82  -1.31  1.00  0.187
H  0.05  -2.36  0.19  0.475

# 3
The molecule C6H12O, computed with ωB97M-V/def2-TZVPD.

## Properties
- Orbital gap: 10.40 eV
- Highest occupied orbital energy: -9.445 eV
- Calculated total energy: -8463.21233 eV
- SMILES: CC[C@@]1(C)C[C@H]1O

Last column: natural (NBO) charge in e.
Cartesian coordinates (Å):
C  -1.16  0.68  -1.58  -0.614
C  -0.94  0.79  -0.07  -0.398
C  0.32  0.11  0.42  -0.076
C  1.62  0.81  0.08  -0.598
C  0.28  -0.65  1.73  -0.432
C  0.32  -1.40  0.45  0.077
O  -0.84  -2.10  0.12  -0.703
H  -1.79  -0.18  -1.86  0.197
H  -0.22  0.56  -2.12  0.202
H  -1.65  1.55  -2.02  0.214
H  -1.81  0.39  0.47  0.220
H  -0.89  1.86  0.17  0.205
H  1.70  1.04  -0.99  0.207
H  1.69  1.76  0.63  0.210
H  2.49  0.21  0.36  0.210
H  -0.66  -0.68  2.27  0.226
H  1.17  -0.65  2.36  0.214
H  1.25  -1.91  0.18  0.171
H  -0.96  -2.04  -0.83  0.469

# 4
A cluster of 2 separate species, C6H12O in total, computed with ωB97M-V/def2-TZVPD.

## Properties
- Orbital gap: 10.41 eV
- Highest occupied orbital energy: -9.333 eV
- Calculated total energy: -8461.60321 eV
- SMILES: C=C(C)[C@H]1O[C@H]1C.[H][H]

Last column: natural (NBO) charge in e.
Cartesian coordinates (Å):
C  1.22  -0.42  -1.52  -0.646
C  1.06  0.01  -0.09  0.004
C  1.63  -0.62  0.94  -0.414
C  0.36  1.32  0.14  0.017
O  -0.51  1.81  -0.88  -0.493
C  -1.09  1.48  0.37  0.077
C  -2.06  0.33  0.41  -0.639
H  1.71  -1.40  -1.60  0.216
H  0.26  -0.45  -2.05  0.230
H  1.84  0.31  -2.04  0.225
H  -0.68  -2.83  0.24  -0.012
H  1.54  -0.24  1.95  0.199
H  2.22  -1.51  0.79  0.202
H  -0.20  -2.37  0.57  0.005
H  1.01  2.08  0.56  0.191
H  -1.38  2.35  0.96  0.178
H  -1.70  -0.51  -0.20  0.223
H  -3.03  0.66  0.02  0.220
H  -2.20  -0.01  1.44  0.218

> Which formula does entry 3 have?

C6H12O
└──
Solution >
# 1
The molecule C6H12O in a non-equilibrium geometry, computed with ωB97M-V/def2-TZVPD.

## Properties
- Orbital gap: 10.18 eV
- Highest occupied orbital energy: -9.080 eV
- Calculated total energy: -8461.88021 eV
- SMILES: CC(C)[C@H]1O[C@H]1C

Last column: natural (NBO) charge in e.
Cartesian coordinates (Å):
C  2.27  0.40  0.50  -0.599
C  0.86  -0.20  0.28  -0.244
C  0.46  -0.98  1.53  -0.606
C  -0.15  0.89  -0.17  0.014
O  -0.10  1.16  -1.56  -0.486
C  -1.38  0.82  -1.07  0.083
C  -2.15  -0.41  -1.35  -0.642
H  3.01  -0.40  0.69  0.208
H  2.63  0.97  -0.36  0.219
H  2.28  1.06  1.37  0.203
H  0.94  -0.91  -0.56  0.209
H  0.37  -0.33  2.41  0.204
H  1.23  -1.73  1.76  0.212
H  -0.48  -1.52  1.40  0.208
H  -0.71  1.57  0.46  0.199
H  -2.00  1.74  -1.13  0.167
H  -1.59  -1.29  -1.03  0.213
H  -2.41  -0.47  -2.41  0.217
H  -3.09  -0.38  -0.77  0.220

# 2
The molecule C6H12O, computed with ωB97M-V/def2-TZVPD.

## Properties
- Orbital gap: 10.78 eV
- Highest occupied orbital energy: -9.848 eV
- Calculated total energy: -8463.17810 eV
- SMILES: C=C[C@@](C)(O)CC

Last column: natural (NBO) charge in e.
Cartesian coordinates (Å):
C  -1.85  0.50  -1.15  -0.613
C  -0.92  0.69  0.05  -0.413
C  0.22  -0.33  -0.03  0.207
C  1.14  0.03  -1.23  -0.636
C  1.03  0.12  2.33  -0.393
C  1.11  -0.50  1.17  -0.185
O  -0.50  -1.59  -0.05  -0.737
H  -2.06  -0.57  -1.25  0.232
H  -1.38  0.84  -2.08  0.198
H  -2.79  1.04  -1.03  0.209
H  -1.47  0.50  0.98  0.212
H  -0.57  1.73  0.10  0.205
H  0.67  -0.15  -2.20  0.221
H  1.39  1.10  -1.20  0.220
H  2.10  -0.50  -1.21  0.209
H  0.30  0.91  2.49  0.199
H  1.70  -0.14  3.13  0.203
H  1.82  -1.31  1.00  0.187
H  0.05  -2.36  0.19  0.475

# 3
The molecule C6H12O, computed with ωB97M-V/def2-TZVPD.

## Properties
- Orbital gap: 10.40 eV
- Highest occupied orbital energy: -9.445 eV
- Calculated total energy: -8463.21233 eV
- SMILES: CC[C@@]1(C)C[C@H]1O

Last column: natural (NBO) charge in e.
Cartesian coordinates (Å):
C  -1.16  0.68  -1.58  -0.614
C  -0.94  0.79  -0.07  -0.398
C  0.32  0.11  0.42  -0.076
C  1.62  0.81  0.08  -0.598
C  0.28  -0.65  1.73  -0.432
C  0.32  -1.40  0.45  0.077
O  -0.84  -2.10  0.12  -0.703
H  -1.79  -0.18  -1.86  0.197
H  -0.22  0.56  -2.12  0.202
H  -1.65  1.55  -2.02  0.214
H  -1.81  0.39  0.47  0.220
H  -0.89  1.86  0.17  0.205
H  1.70  1.04  -0.99  0.207
H  1.69  1.76  0.63  0.210
H  2.49  0.21  0.36  0.210
H  -0.66  -0.68  2.27  0.226
H  1.17  -0.65  2.36  0.214
H  1.25  -1.91  0.18  0.171
H  -0.96  -2.04  -0.83  0.469

# 4
A cluster of 2 separate species, C6H12O in total, computed with ωB97M-V/def2-TZVPD.

## Properties
- Orbital gap: 10.41 eV
- Highest occupied orbital energy: -9.333 eV
- Calculated total energy: -8461.60321 eV
- SMILES: C=C(C)[C@H]1O[C@H]1C.[H][H]

Last column: natural (NBO) charge in e.
Cartesian coordinates (Å):
C  1.22  -0.42  -1.52  -0.646
C  1.06  0.01  -0.09  0.004
C  1.63  -0.62  0.94  -0.414
C  0.36  1.32  0.14  0.017
O  -0.51  1.81  -0.88  -0.493
C  -1.09  1.48  0.37  0.077
C  -2.06  0.33  0.41  -0.639
H  1.71  -1.40  -1.60  0.216
H  0.26  -0.45  -2.05  0.230
H  1.84  0.31  -2.04  0.225
H  -0.68  -2.83  0.24  -0.012
H  1.54  -0.24  1.95  0.199
H  2.22  -1.51  0.79  0.202
H  -0.20  -2.37  0.57  0.005
H  1.01  2.08  0.56  0.191
H  -1.38  2.35  0.96  0.178
H  -1.70  -0.51  -0.20  0.223
H  -3.03  0.66  0.02  0.220
H  -2.20  -0.01  1.44  0.218

> Which formula does entry 3 have?

C6H12O